____________
# 1
Theoretical powder X-ray diffraction pattern of KSmTiO4 for Cu Kα, 1.54184 Å, from a DFT-relaxed cell (GGA-PBE, Alexandria).
Lines closer than 0.1° are merged.

Atomic structure:
```
data_KSmTiO4
_chemical_formula_sum 'K4 Sm4 Ti4 O16'
_cell_length_a 13.2879
_cell_length_b 5.5048
_cell_length_c 5.4199
_cell_angle_alpha 90.00
_cell_angle_beta 90.00
_cell_angle_gamma 90.00
_symmetry_space_group_name_H-M 'P b c m'
_symmetry_Int_Tables_number 57
loop_
_symmetry_equiv_pos_as_xyz
'x,y,z'
'-x,-y,-z'
'-x,-y,z+1/2'
'x,y,-z+1/2'
'x,-y+1/2,-z'
'-x,y+1/2,z'
'-x,y+1/2,-z+1/2'
'x,-y+1/2,z+1/2'
loop_
_atom_site_label
_atom_site_type_symbol
_atom_site_fract_x
_atom_site_fract_y
_atom_site_fract_z
K1 K 0.0948 0.0156 0.2500
Sm1 Sm 0.3974 0.0211 0.2500
Ti1 Ti 0.2505 0.5056 0.2500
O1 O 0.1180 0.5250 0.2500
O2 O 0.2712 0.2500 0.0000
O3 O 0.2920 0.7500 0.0000
O4 O 0.4359 0.0594 0.7500
```

Principal peaks in the range 10 to 90 degrees two-theta, low angle first:
hkl	2θ/deg	d/Å	intensity
2 1 1	26.70	3.339	43
3 1 1	30.71	2.911	100
0 2 0	32.53	2.752	28
0 0 2	33.06	2.710	30
0 2 2	47.06	1.931	31
3 1 3	57.59	1.601	17


# 2
Theoretical powder X-ray diffraction pattern of K2SnO6 for Cu Kα, 1.54184 Å, from a DFT-relaxed cell (GGA-PBE, Alexandria).
Lines closer than 0.1° are merged.

Atomic structure:
```
data_K2SnO6
_chemical_formula_sum 'K6 Sn3 O18'
_cell_length_a 7.1643
_cell_length_b 7.1643
_cell_length_c 12.4416
_cell_angle_alpha 90.00
_cell_angle_beta 90.00
_cell_angle_gamma 120.00
_symmetry_space_group_name_H-M 'R -3'
_symmetry_Int_Tables_number 148
_symmetry_space_group_name_Hall '-R 3'
loop_
_atom_site_label
_atom_site_type_symbol
_atom_site_fract_x
_atom_site_fract_y
_atom_site_fract_z
K1 K 0.0000 0.0000 0.1928
Sn1 Sn 0.0000 0.0000 0.5000
O1 O 0.0238 0.7496 0.5659
```

Principal peaks in the range 10 to 90 degrees two-theta, low angle first:
hkl	2θ/deg	d/Å	intensity
1 0 1	15.96	5.552	100
0 0 3	21.43	4.147	67
1 1 0	24.86	3.582	71
1 1 3	33.04	2.711	94
3 0 0	43.77	2.068	34
0 3 3	49.23	1.851	34


# 3
Theoretical powder X-ray diffraction pattern of K2SnO3 for Cu Kα, 1.54184 Å, from a DFT-relaxed cell (GGA-PBE, Alexandria).
Lines closer than 0.1° are merged.

Atomic structure:
```
data_K2SnO3
_chemical_formula_sum 'K8 Sn4 O12'
_cell_length_a 5.8449
_cell_length_b 10.5650
_cell_length_c 7.1073
_cell_angle_alpha 90.00
_cell_angle_beta 90.00
_cell_angle_gamma 90.00
_symmetry_space_group_name_H-M 'P n m a'
_symmetry_Int_Tables_number 62
loop_
_symmetry_equiv_pos_as_xyz
'x,y,z'
'-x,-y,-z'
'-x+1/2,-y,z+1/2'
'x+1/2,y,-z+1/2'
'x+1/2,-y+1/2,-z+1/2'
'-x+1/2,y+1/2,z+1/2'
'-x,y+1/2,-z'
'x,-y+1/2,z'
loop_
_atom_site_label
_atom_site_type_symbol
_atom_site_fract_x
_atom_site_fract_y
_atom_site_fract_z
K1 K 0.2346 0.0874 0.1145
Sn1 Sn 0.2275 0.7500 0.1596
O1 O 0.0110 0.1213 0.7248
O2 O 0.1546 0.7500 0.8907
```

Principal peaks in the range 10 to 90 degrees two-theta, low angle first:
hkl	2θ/deg	d/Å	intensity
0 1 1	15.02	5.897	100
0 2 0	16.78	5.283	52
0 3 1	28.28	3.156	44
1 0 2	29.42	3.036	87
1 3 1	32.24	2.777	82
2 3 1	42.14	2.144	60


# 4
Theoretical powder X-ray diffraction pattern of K2Sn3O7 for Cu Kα, 1.54184 Å, from a DFT-relaxed cell (GGA-PBE, Alexandria).
Lines closer than 0.1° are merged.

Atomic structure:
```
data_K2Sn3O7
_chemical_formula_sum 'K8 Sn12 O28'
_cell_length_a 17.1426
_cell_length_b 3.1953
_cell_length_c 12.9024
_cell_angle_alpha 90.00
_cell_angle_beta 90.00
_cell_angle_gamma 90.00
_symmetry_space_group_name_H-M 'P n m a'
_symmetry_Int_Tables_number 62
loop_
_symmetry_equiv_pos_as_xyz
'x,y,z'
'-x,-y,-z'
'-x+1/2,-y,z+1/2'
'x+1/2,y,-z+1/2'
'x+1/2,-y+1/2,-z+1/2'
'-x+1/2,y+1/2,z+1/2'
'-x,y+1/2,-z'
'x,-y+1/2,z'
loop_
_atom_site_label
_atom_site_type_symbol
_atom_site_fract_x
_atom_site_fract_y
_atom_site_fract_z
K1 K 0.0662 0.2500 0.1074
K2 K 0.1939 0.2500 0.5602
Sn1 Sn 0.0187 0.7500 0.3882
Sn2 Sn 0.1242 0.2500 0.8344
Sn3 Sn 0.2085 0.2500 0.2920
O1 O 0.0193 0.2500 0.7584
O2 O 0.0514 0.7500 0.5531
O3 O 0.0946 0.7500 0.9297
O4 O 0.0994 0.2500 0.3693
____________
Next, restate the notes earlier on from the first line to the one with "15.96" without additions.
# 1
Theoretical powder X-ray diffraction pattern of KSmTiO4 for Cu Kα, 1.54184 Å, from a DFT-relaxed cell (GGA-PBE, Alexandria).
Lines closer than 0.1° are merged.

Atomic structure:
```
data_KSmTiO4
_chemical_formula_sum 'K4 Sm4 Ti4 O16'
_cell_length_a 13.2879
_cell_length_b 5.5048
_cell_length_c 5.4199
_cell_angle_alpha 90.00
_cell_angle_beta 90.00
_cell_angle_gamma 90.00
_symmetry_space_group_name_H-M 'P b c m'
_symmetry_Int_Tables_number 57
loop_
_symmetry_equiv_pos_as_xyz
'x,y,z'
'-x,-y,-z'
'-x,-y,z+1/2'
'x,y,-z+1/2'
'x,-y+1/2,-z'
'-x,y+1/2,z'
'-x,y+1/2,-z+1/2'
'x,-y+1/2,z+1/2'
loop_
_atom_site_label
_atom_site_type_symbol
_atom_site_fract_x
_atom_site_fract_y
_atom_site_fract_z
K1 K 0.0948 0.0156 0.2500
Sm1 Sm 0.3974 0.0211 0.2500
Ti1 Ti 0.2505 0.5056 0.2500
O1 O 0.1180 0.5250 0.2500
O2 O 0.2712 0.2500 0.0000
O3 O 0.2920 0.7500 0.0000
O4 O 0.4359 0.0594 0.7500
```

Principal peaks in the range 10 to 90 degrees two-theta, low angle first:
hkl	2θ/deg	d/Å	intensity
2 1 1	26.70	3.339	43
3 1 1	30.71	2.911	100
0 2 0	32.53	2.752	28
0 0 2	33.06	2.710	30
0 2 2	47.06	1.931	31
3 1 3	57.59	1.601	17


# 2
Theoretical powder X-ray diffraction pattern of K2SnO6 for Cu Kα, 1.54184 Å, from a DFT-relaxed cell (GGA-PBE, Alexandria).
Lines closer than 0.1° are merged.

Atomic structure:
```
data_K2SnO6
_chemical_formula_sum 'K6 Sn3 O18'
_cell_length_a 7.1643
_cell_length_b 7.1643
_cell_length_c 12.4416
_cell_angle_alpha 90.00
_cell_angle_beta 90.00
_cell_angle_gamma 120.00
_symmetry_space_group_name_H-M 'R -3'
_symmetry_Int_Tables_number 148
_symmetry_space_group_name_Hall '-R 3'
loop_
_atom_site_label
_atom_site_type_symbol
_atom_site_fract_x
_atom_site_fract_y
_atom_site_fract_z
K1 K 0.0000 0.0000 0.1928
Sn1 Sn 0.0000 0.0000 0.5000
O1 O 0.0238 0.7496 0.5659
```

Principal peaks in the range 10 to 90 degrees two-theta, low angle first:
hkl	2θ/deg	d/Å	intensity
1 0 1	15.96	5.552	100